Ein kleines Kind schaut beim Spielen durch einen bunten Holzbogen.

Overall concept

Exer­cise and sport are at the heart of the con­cept work in our faci­li­ties.

The edu­ca­tio­nal con­cept of all ASC Kin­der­be­treu­ung faci­li­ties is pri­ma­rily cha­rac­te­ri­zed by a focus on move­ment pedagogy. In addi­tion to our gene­ral edu­ca­tio­nal and deve­lo­p­men­tal goals, this approach defi­nes spe­ci­fic objec­ti­ves for our groups. Each child is uni­que, and we prio­ri­tize accep­ting and respec­ting this uni­que­ness.

We want to…

…use child­ren’s natu­ral curio­sity, addres­sing their inte­rests and ques­ti­ons, and desig­ning lear­ning con­tent in an enga­ging and dif­fe­ren­tia­ted man­ner. The focus is always on allo­wing child­ren to explore and expe­ri­ment, while also chal­len­ging and sup­port­ing them.

…in addi­tion to the gene­ral edu­ca­tio­nal man­date appli­ca­ble to day­care cen­ters, pro­vide enhan­ced move­ment expe­ri­en­ces that cater to child­ren’s natu­ral urge to move through our varied range of move­ment acti­vi­ties.

…sup­port and pro­mote the indi­vi­du­ally vary­ing deve­lo­p­men­tal steps of child­ren, with a focus on sen­sory per­cep­tion.

…pro­vide child­ren from all cul­tures access to the world, par­ti­cu­larly those whose mother ton­gue is Ger­man and/or Eng­lish (immersion/early Eng­lish).

…pro­mote the deve­lo­p­ment of early child­hood lan­guage skills in an age-appro­priate and playful man­ner.

The text is interrupted by materials data:
<<<
No. 1
Starting from a cell relaxed with GGA-PBE, the X-ray diffraction stick pattern of Na5B7C3 was calculated for Cu Kα (weighted mean of Kα1 and Kα2).

Cell and atoms:
abc: 9.0243 9.0243 13.3366
angles: 112.93 112.93 18.17
Positions (direct):
1 Na 0.0000 0.0000 0.0000
2 Na 0.0000 0.0000 0.5000
3 Na 0.1989 0.1989 0.4002
4 Na 0.1990 0.1990 0.9016
5 Na 0.4005 0.4005 0.2990
6 Na 0.4002 0.4002 0.8000
7 Na 0.5998 0.5998 0.2000
8 Na 0.5995 0.5995 0.7010
9 Na 0.8010 0.8010 0.0984
10 Na 0.8011 0.8011 0.5998
11 B 0.0295 0.0295 0.8100
12 B 0.1733 0.1733 0.5973
13 B 0.2335 0.2335 0.2161
14 B 0.3610 0.3610 0.9722
15 B 0.3673 0.3673 0.4836
16 B 0.4309 0.4309 0.1112
17 B 0.4355 0.4355 0.6217
18 B 0.5645 0.5645 0.3783
19 B 0.5691 0.5691 0.8888
20 B 0.6327 0.6327 0.5164
21 B 0.6390 0.6390 0.0278
22 B 0.7665 0.7665 0.7839
23 B 0.8267 0.8267 0.4027
24 B 0.9705 0.9705 0.1900
25 C 0.0336 0.0336 0.3151
26 C 0.1699 0.1699 0.0887
27 C 0.2355 0.2355 0.7214
28 C 0.7645 0.7645 0.2786
29 C 0.8301 0.8301 0.9113
30 C 0.9664 0.9664 0.6849

Peak list (6 most intense, 15° ≤ 2θ ≤ 90°, by intensity)
42.0°, I = 100
42.3°, I = 38
41.1°, I = 25
41.2°, I = 25
63.6°, I = 18
36.1°, I = 18

No. 2
Starting from a cell relaxed with GGA-PBE, the X-ray diffraction stick pattern of Sn8PbAu6 was calculated for Cu Kα (weighted mean of Kα1 and Kα2).

Cell and atoms:
abc: 8.1497 8.1497 6.7375
angles: 90.00 90.00 120.00
Positions (direct):
1 Sn 0.0000 0.3290 0.3292
2 Sn 0.0000 0.6710 0.6708
3 Sn 0.3290 0.0000 0.3292
4 Sn 0.3290 0.3290 0.6708
5 Sn 0.3333 0.6667 0.0000
6 Sn 0.6667 0.3333 0.0000
7 Sn 0.6710 0.0000 0.6708
8 Sn 0.6710 0.6710 0.3292
9 Pb 0.0000 0.0000 0.0000
10 Au 0.0000 0.3411 0.7685
11 Au 0.0000 0.6589 0.2315
12 Au 0.3411 0.0000 0.7685
13 Au 0.3411 0.3411 0.2315
14 Au 0.6589 0.0000 0.2315
15 Au 0.6589 0.6589 0.7685

Peak list (6 most intense, 15° ≤ 2θ ≤ 90°, by intensity)
38.3°, I = 100
34.5°, I = 99
25.5°, I = 53
52.5°, I = 30
66.8°, I = 30
47.1°, I = 24

No. 3
Starting from a cell relaxed with GGA-PBE, the X-ray diffraction stick pattern of Na2DyUS6 was calculated for Cu Kα (weighted mean of Kα1 and Kα2).

Cell and atoms:
abc: 6.9088 7.3397 11.8475
angles: 90.00 124.26 90.00
Positions (direct):
1 Na 0.2170 0.0743 0.2443
2 Na 0.2170 0.4257 0.7443
3 Na 0.7830 0.5743 0.2557
4 Na 0.7830 0.9257 0.7557
5 Dy 0.0000 0.0000 0.5000
6 Dy 0.0000 0.5000 0.0000
7 U 0.5000 0.0000 0.0000
8 U 0.5000 0.5000 0.5000
9 S 0.1491 0.1982 0.9370
10 S 0.1491 0.3018 0.4370
11 S 0.2412 0.7149 0.9310
12 S 0.2412 0.7851 0.4310
13 S 0.3858 0.0370 0.7577
14 S 0.3858 0.4630 0.2577
15 S 0.6142 0.5370 0.7423
16 S 0.6142 0.9630 0.2423
17 S 0.7588 0.2149 0.5690
18 S 0.7588 0.2851 0.0690
19 S 0.8509 0.6982 0.5630
20 S 0.8509 0.8018 0.0630

Peak list (6 most intense, 15° ≤ 2θ ≤ 90°, by intensity)
17.6°, I = 100
18.1°, I = 43
25.2°, I = 42
25.6°, I = 41
35.7°, I = 31
40.7°, I = 26

No. 4
>>>

…sup­ple­ment child­care offe­rings in after-school care with addi­tio­nal sports acti­vi­ties aimed at vio­lence pre­ven­tion for child­ren and ado­le­s­cents.

The pedagogical foundational principles in our facilities are:

The entry is interrupted by data records:
For NiH20PtC4N4O12, a GGA+U-relaxed structure gives the theoretical powder X-ray diffraction pattern in this record (a wavelength of 1.5418 Å).
Neutral-atom scattering factors, no anomalous dispersion.

```
data_NiH20PtC4N4O12
_cell_length_a 7.245
_cell_length_b 7.587
_cell_length_c 14.953
_cell_angle_alpha 90.00
_cell_angle_beta 90.00
_cell_angle_gamma 90.00
_symmetry_space_group_name_H-M 'I 2 2 2'
_symmetry_Int_Tables_number 23
_symmetry_space_group_name_Hall 'I 2 2'
loop_
_atom_site_label
_atom_site_type_symbol
_atom_site_fract_x
_atom_site_fract_y
_atom_site_fract_z
Ni1 Ni 0.000 0.000 0.000
H1 H 0.001 0.350 0.054
H2 H 0.023 0.142 0.342
H3 H 0.106 0.285 0.415
H4 H 0.109 0.497 0.813
H5 H 0.119 0.265 0.597
Pt1 Pt 0.000 0.000 0.500
C1 C 0.108 0.002 0.180
N1 N 0.002 0.196 0.404
O1 O 0.000 0.275 0.000
O2 O 0.000 0.500 0.146
O3 O 0.186 0.002 0.255
O4 O 0.188 0.005 0.104
```

Principal peaks in the range 10° ≤ 2θ ≤ 90°, by angle:
| d/Å | I/Imax | (hkl) |
| --- | --- | --- |
| 7.476 | 50.6 | 0 0 2 |
| 5.240 | 100.0 | 1 1 0 |
| 4.291 | 56.7 | 1 1 2 |
| 3.793 | 34.3 | 0 2 0 |
| 3.623 | 19.6 | 2 0 0 |
| 3.260 | 33.8 | 2 0 2 |
| 3.194 | 24.7 | 2 1 1 |
| 3.043 | 34.5 | 1 1 4 |
| 2.786 | 29.4 | 1 2 3 |
| 2.200 | 20.4 | 3 1 2 |


Sc4CoRu: simulated powder diffractogram (Cu Kα X-rays), based on a crystal structure in Alexandria, relaxed with GGA-PBE.

Largest 12 diffraction maxima, by angle, 10 to 90 degrees two-theta:
- 24.60 deg, I 61
- 40.72 deg, I 100
- 48.14 deg, I 24
- 48.24 deg, I 5
- 58.90 deg, I 10
- 59.05 deg, I 5
- 64.82 deg, I 7
- 64.92 deg, I 4
- 74.08 deg, I 20
- 74.19 deg, I 10
- 79.40 deg, I 5
- 88.11 deg, I 5

Structural model:
Cell: 4.4348 4.4348 6.2578 Å, 90.08 90.08 90.00°
Element x y z (fractional)
Sc: 0.0005 0.5002 0.7538
Sc: 0.5002 0.0005 0.7538
Sc: 0.4998 0.9995 0.2462
Sc: 0.9995 0.4998 0.2462
Co: 0.0000 0.0000 0.0000
Ru: 0.5000 0.5000 0.5000


Record 1
MgScTcSn: theoretical powder diffraction line list (Cu Kα X-rays), based on a structure optimized by DFT (GGA-PBE).
Kinematic intensities with the Lorentz-polarization factor, no thermal factor.

```
data_MgScTcSn
_chemical_formula_sum 'Mg1 Sc1 Tc1 Sn1'
_symmetry_space_group_name_H-M 'P m m m'
_symmetry_Int_Tables_number 47
_cell_length_a 3.874
_cell_length_b 4.286
_cell_length_c 4.510
_cell_angle_alpha 90.00
_cell_angle_beta 90.00
_cell_angle_gamma 90.00
loop_
_symmetry_equiv_pos_as_xyz
'x,y,z'
'-x,-y,-z'
'-x,-y,z'
'x,y,-z'
'x,-y,-z'
'-x,y,z'
'-x,y,-z'
'x,-y,z'
loop_
_atom_site_label
_atom_site_fract_x
_atom_site_fract_y
_atom_site_fract_z
Mg1 0.000 0.000 0.000
Sc1 0.000 0.500 0.500
Tc1 0.500 0.000 0.500
Sn1 0.500 0.500 0.000
```

Principal peaks in the range 5° ≤ 2θ ≤ 70°, low angle first:
(1 0 0), 2θ = 22.96°, d 3.874, I = 23; (0 1 1), 2θ = 28.73°, d 3.107, I = 26; (1 1 1), 2θ = 37.09°, d 2.424, I = 100; (0 0 2), 2θ = 39.98°, d 2.255, I = 20; (0 2 0), 2θ = 42.17°, d 2.143, I = 17; (2 0 0), 2θ = 46.90°, d 1.937, I = 13

***

Record 2

- Family-com­ple­men­tary and sup­port­ive gui­dance in deve­lo­p­ment

# Calculated crystals, kept here for reference
<<<
(1)
This entry pairs a crystal structure of BiPb3Au2 with its computed powder diffractogram. Radiation: Cu Kα (λ = 1.5418 Å). Structure: DFT lattice parameters and positions (GGA-PBE).

Main lines, most intense first (15 to 90 degrees two-theta):
2θ/deg  I_rel
33.81  100
21.76  52
36.31  48
66.72  31
38.16  27
35.91  26
25.73  25
35.50  24
63.74  19
47.15  19

Structure:
```
BiPb3Au2
1.0
-3.462 7.075 3.617
3.462 -7.075 3.617
3.462 7.075 -3.617
Bi Pb Au
2 6 4
Direct
0.000 0.000 0.000
0.500 0.500 0.000
0.035 0.250 0.785
0.250 0.750 0.500
0.465 0.250 0.215
0.535 0.750 0.785
0.750 0.250 0.500
0.965 0.750 0.215
0.142 0.676 0.818
0.358 0.176 0.534
0.642 0.824 0.466
0.858 0.324 0.182
```

=====

(2)
This entry pairs a crystal structure of Bi2Pb12Au7 with its computed powder diffractogram. Radiation: Cu Kα (λ = 1.5418 Å). Structure: DFT lattice parameters and positions (GGA-PBE).

Main lines, most intense first (15 to 90 degrees two-theta):
2θ/deg  I_rel
31.26  100
32.41  88
40.37  73
31.59  50
39.37  50
27.60  46
36.19  42
31.39  32
35.15  27
37.60  26

Structure:
```
Bi2Pb12Au7
1.0
11.100 0.000 0.000
0.000 4.468 0.000
-3.472 0.000 11.940
Bi Pb Au
2 12 7
Direct
0.000 0.000 0.000
0.210 0.500 0.603
0.004 0.000 0.432
0.138 0.500 0.301
0.262 0.000 0.881
0.301 0.000 0.193
0.471 0.500 0.427
0.478 0.000 0.683
0.485 0.500 0.091
0.700 0.500 0.898
0.750 0.000 0.140
0.762 0.000 0.563
0.764 0.500 0.351
0.959 0.500 0.782
0.053 0.000 0.672
0.195 0.500 0.015
0.289 0.000 0.453
0.537 0.000 0.934
0.575 0.000 0.301
0.651 0.500 0.655
0.909 0.500 0.117
```

=====

(3)
This entry pairs a crystal structure of BiPb8Au4 with its computed powder diffractogram. Radiation: Cu Kα (λ = 1.5418 Å). Structure: DFT lattice parameters and positions (GGA-PBE).

Main lines, most intense first (15 to 90 degrees two-theta):
2θ/deg  I_rel
34.92  100
35.33  65
35.12  33
62.89  24
62.57  12
50.02  12
50.39  12
21.29  12
50.99  11
73.81  8

Structure:
```
BiPb8Au4
1.0
7.165 0.000 0.000
0.048 7.243 0.000
0.071 0.015 7.294
Bi Pb Au
1 8 4
Direct
0.000 0.000 0.000
0.258 0.258 0.260
0.258 0.258 0.739
0.259 0.740 0.259
0.261 0.740 0.742
0.739 0.260 0.258
0.741 0.260 0.741
0.742 0.742 0.261
0.742 0.742 0.740
0.000 0.000 0.500
0.000 0.500 0.000
0.500 0.000 0.000
0.500 0.500 0.500
```

=====

(4)
This entry pairs a crystal structure of Bi3PbAu2 with its computed powder diffractogram. Radiation: Cu Kα (λ = 1.5418 Å). Structure: DFT lattice parameters and positions (GGA-PBE).

Main lines, most intense first (15 to 90 degrees two-theta):
2θ/deg  I_rel
35.92  100
64.57  38
21.77  24
51.71  18
87.18  18
25.19  15
42.40  13
76.16  12
58.36  6
56.75  6

Structure:
```
Bi3PbAu2
1.0
4.998 2.886 4.086
-4.998 2.886 4.086
0.000 -5.771 4.086
Bi Pb Au
6 2 4
Direct
0.250 0.250 0.750
0.250 0.750 0.250
0.250 0.750 0.750
0.750 0.250 0.250
0.750 0.250 0.750
0.750 0.750 0.250
0.250 0.250 0.250
0.750 0.750 0.750
0.000 0.000 0.000
0.000 0.500 0.500
0.500 0.000 0.500
0.500 0.500 0.000
```

=====

(5)
>>>

- Holi­stic deve­lo­p­ment

- Pro­mo­tion of social, fac­tual, and self-com­pe­tence

- Edu­ca­tio­nal aspi­ra­tion through expe­ri­en­cing and test­ing inde­pen­dent action

- Child­ren’s co-design and par­ti­ci­pa­tion, cen­te­ring on con­side­ring their inte­rests and needs (par­ti­ci­pa­tion)

In our cen­ters, we work with spe­ci­fic con­cept focu­ses. The entire pedago­gi­cal work is always con­side­red holi­sti­cally and desi­gned by edu­ca­tors with a focus-ori­en­ted approach in daily prac­tice. Our pedago­gi­cal approach is aimed at pre­pa­ring child­ren for a life where fle­xi­bi­lity in thin­king and acting, crea­ti­vity, and social skills are more important than ever. To achieve our goals, relia­ble rules and ritu­als form the basis of our daily work. These serve as a secure frame­work for both child­ren and adults (par­ents and edu­ca­tors).